Lyle O. Reitzel Gallery presents Contemplative, the most recent solo exhibition of the outstanding artist Tania Marmolejo. Born in the Dominican Republic and based in New York, Marmolejo has built a solid international career, exhibiting in prestigious galleries around the world. Recognized for her powerful female depictions with large, piercing eyes, Marmolejo has developed a deeply symbolic style of her own that, on this occasion, invites viewers to immerse themselves in an introspective reflection on identity, memory and female empowerment.

Over the past three years, Marmolejo has taken his art on a successful international tour, where all of his exhibitions have been received with great enthusiasm, including his most recent show at Lyle O. Reitzel Gallery in the Dominican Republic in 2021. His most recent solo shows include What was saved from the fire at Loyal Gallery, Stockholm; Under the influence at Villazan Gallery, Madrid and Alter Egos at Eligere Gallery, Seoul. This global tour reaffirms his position as one of the most influential voices in contemporary art, capable of captivating audiences in Europe, Asia and North America. In addition, Marmolejo has broken sales records at Sotheby's international auctions in Hong Kong and New York, a testament to her growing demand in the contemporary art market.

Contemplativa brings together key works from his career, highlighting iconic pieces such as The bunny collection (2010), A special place in mind (2023), and the more recent La contemplativa and Brisita de verano (2024). Through these portraits, Marmolejo explores the emotional duality between fragility and strength, framing his female characters in dreamlike landscapes and symbolically charged situations. The great protagonists of his paintings, with their intense gazes, not only capture the viewer's attention, but also raise universal questions about the role of women in contemporary society.

Here the text breaks off for calculated molecules
~~~
(1)
Here is C44H33O5P2RhS4Sb as an isolated structure in a non-equilibrium geometry from OMol25. Energies are from wB97M-V/def2-TZVPD.

As for the net charge: 0. The HOMO energy (alpha / beta) is -6.8341 / -6.3742 eV. Its orbital gap (alpha / beta) is 4.6 / 3.7 eV. The largest force on an atom is 0.041 hartree/bohr. Its energy relative to the best compared isomer or geometry (same formula, charge and spin) is 58.02 kcal/mol. Its multiplicity is 2.

Each line ends with the Löwdin charge.
Cartesian coordinates (Å):
Rh -0.976 -0.996 -0.439  0.4011
O -2.381 1.488 3.697  -0.4612
S -1.975 0.605 2.578  0.9059
C -3.474 0.328 1.586  -0.4026
C -4.629 -0.201 2.126  -0.0644
C -5.750 -0.365 1.326  -0.0523
C -5.726 0.035 0.000  -0.0790
C -4.584 0.613 -0.535  -0.0853
C -3.445 0.762 0.247  -0.3792
P -1.836 1.205 -0.501  1.0288
C -1.352 2.759 0.313  -0.3696
C -0.098 3.270 -0.029  -0.1092
C 0.331 4.465 0.520  -0.0747
C -0.487 5.152 1.409  -0.0713
C -1.737 4.649 1.738  -0.0518
C -2.177 3.452 1.192  -0.0866
C -2.117 1.845 -2.177  -0.3693
C -1.379 1.318 -3.232  -0.1613
C -1.527 1.836 -4.510  -0.0603
C -2.397 2.892 -4.731  -0.0697
C -3.112 3.439 -3.673  -0.0698
C -2.970 2.925 -2.396  -0.0841
C -1.626 -1.009 3.326  -0.3820
C -2.346 -1.443 4.423  -0.0661
C -1.969 -2.607 5.072  -0.0565
C -0.861 -3.314 4.636  -0.0563
C -0.118 -2.865 3.554  -0.0852
C -0.486 -1.706 2.882  -0.3970
P 0.485 -0.986 1.490  1.0260
C 1.433 0.213 2.492  -0.3270
C 1.181 1.577 2.413  -0.0834
C 1.811 2.454 3.283  -0.0544
C 2.714 1.973 4.217  -0.0711
C 2.987 0.611 4.281  -0.0678
C 2.343 -0.270 3.430  -0.0841
C 1.701 -2.253 1.039  -0.3664
C 1.252 -3.545 0.755  -0.1172
C 2.107 -4.466 0.177  -0.0614
C 3.410 -4.105 -0.138  -0.0691
C 3.856 -2.820 0.126  -0.0666
C 3.004 -1.892 0.704  -0.0924
H -4.652 -0.499 3.164  0.1065
H -6.636 -0.831 1.736  0.1151
H -6.590 -0.122 -0.632  0.1105
H -4.557 0.919 -1.572  0.1029
H 0.538 2.705 -0.704  0.1085
H 1.308 4.856 0.267  0.1119
H -0.147 6.081 1.849  0.1075
H -2.371 5.182 2.434  0.1133
H -3.148 3.058 1.457  0.1074
H -0.693 0.500 -3.049  0.0463
H -0.965 1.408 -5.329  0.1118
H -2.515 3.297 -5.728  0.1062
H -3.781 4.274 -3.842  0.1067
H -3.521 3.355 -1.567  0.1143
H -3.175 -0.852 4.791  0.1104
H -2.534 -2.953 5.928  0.1101
H -0.560 -4.217 5.153  0.1098
H 0.748 -3.428 3.233  0.1012
H 0.501 1.946 1.663  0.0578
H 1.584 3.511 3.225  0.1035
H 3.210 2.655 4.894  0.1056
H 3.701 0.234 5.001  0.1067
H 2.543 -1.333 3.488  0.1107
H 0.223 -3.810 0.966  0.0688
H 1.751 -5.461 -0.057  0.1099
H 4.074 -4.819 -0.608  0.1059
H 4.862 -2.529 -0.147  0.1097
H 3.333 -0.874 0.872  0.1135
S -5.219 -3.189 -1.394  -0.3350
Sb -2.903 -3.629 -1.620  0.2589
S -2.357 -2.624 0.539  0.1531
S -2.425 -1.494 -2.604  0.0009
O 1.172 0.199 -1.051  -0.1064
C 1.415 -0.790 -1.801  -0.6421
O 0.641 -1.778 -1.868  -0.0998
C 2.635 -0.777 -2.666  -0.1394
C 3.547 0.262 -2.542  -0.0181
C 4.658 0.354 -3.379  0.0198
C 4.798 -0.624 -4.333  -0.2074
O 5.774 -0.756 -5.281  0.0359
C 5.419 -1.890 -6.062  -0.1391
~~~
Back to the text

In this exhibition, Marmolejo continues to develop his fascinating fusion of influences, ranging from his connection to nature and Scandinavian mysticism to his Dominican heritage, reflected in the chromatic richness and emotional sensitivity of his works. His work has managed to transcend borders, captivating both the public in the Dominican Republic and international collectors, who have seen in his proposal an original and contemporary artistic voice. Each of the pieces that make up Contemplative is an intimate journey into what it means to be a woman in the present, a journey of resistance and rediscovery through time.

This exhibition represents a significant moment in Tania Marmolejo's artistic evolution, consolidating her growth and visibility both locally and internationally. Contemplativa is framed within the outstanding trajectory of the Lyle O. Reitzel gallery, which next year will celebrate three decades in the arts market in the Dominican Republic. Throughout these 30 years, the gallery has reaffirmed its commitment to the promotion of artistic talent, contributing significantly to the development of the country's cultural scene.